December 1975 Newsletter Highlights


Brian Tudor is still the secretary and the headquarters is on The Quay in Looe.

The sharking had been very good until August when the Blues had disappeared overnight which was much earlier than previous years.

Many new members had joined during the year which had helped to counteract the membership reductions driven by the economic climate in previous years. The Caunter Room was proving to be a success and its reported that, “many a happy hour” has been spent there by members from home and overseas.

Reports from other ports were more frequent and was evidence that the sport of shark angling was increasing in popularity.

Three new line class records had been awarded and the ratio was 2 to 1 in favour of the ladies. With the Records Committee not having to consider any record claims in the previous year this was welcome news.

It was reported that at the EGM, proposition C had been carried and “Briggy” was confirmed as the Founder President of the SACGB.

Dusty Miller was now President and three new Vice Presidents had been elected. They were, Rex Barnes, Jack Horrex and Gerry Nancollas.

The club had completed their first year as a contributor to the Sea Angler magazine which was considered a successful venture.

The film “Jaws” had just been released and the media were taking advantage of its popularity. The club noted that much of what the press were writing contained little fact and in fact most of it was fiction which was in the interests of sensationalism.  One, “well-read” newspaper had contacted the club and had sent a team to SACGB HQ for a week to research for an article, which at time of going to press had not been published.

One member had contributed to an angling magazine and had misreported the qualifying weight for membership as 70lbs when it was of course 75lbs. This error was pointed out “politely” by Brian in this Newsletter.


The 23rd Annual Dinner – once again it was held at the Hannfore Point Hotel. Attendance was well down on previous years and only 100 members and their guest attended.

The Grand Buffet lasted from 8 until 10pm and was reported as excellent.

Whilst many of the familiar faces were absent, including “Briggy” there were many first timers to the event. This year the entertainment came from a new band, the Blue Hawaiins who played until 2am!





Shark Tagging – the tagging being managed by the clubs Hon. Marine Biologist and John Stevens was beginning to show results and a large part of this newsletter was devote to these. The article is very interesting and as such has been retyped fully below:

During 1975 the tagging programme has provided some extremely interesting information on Blue shark movements. In the March 1975 newsletter we reported the recapture of a Cornish tagged shark some 2000 miles out in the central Atlantic. Subsequently a Blue marked in Penzance has been recaught by a Russian long-liner some 900 miles of French Guiana, South America (3200 miles travelled), and two further Cornish tagged sharks were recaptured by sport fishermen in Long Island, USA, a straight line distance of 3500 miles.

To date these are the longest migrations ever demonstrated by Blue sharks and they show that some sharks travel right around the North Atlantic utilising the major current systems. It appears that the westward journey is made on the Canaries current and the return movement on the Gulf Stream and North Atlantic drift. I hope these very exciting results will encourage more people to join the tagging programme. To date we have 28 returns from 2000 marked Blue sharks, an overall recapture rate of 1.4%.  Along with the Blues there have been a few Porbeagles tagged, and during 1975 one of these was recaptured from the west coast of Denmark.

Returns since the last newsletter are:

No 1373 – tagged August 6th 1974 at Looe by Bill Cowan. Recaptured May 20th 1975, 20m miles off cape Ortegal, Spain

No 68 – tagged July 10th 1973 at Penzance by Donald Jones. Recaptured July 17th, 1974 by a Russian long-liner 900 miles off French Guiana, South America

No 124 – tagged August 18th, 1973 at Sagres, Portugal by Mr W Persoon. Recaptured May 24th, 1975 off Oran, Algeria

No 156 – tagged July 6th 1973 at Plymouth by Leonard Paramore. Recaptured October 19th 1974, 30 miles S.E. of Start Point, Devon

No 573 – tagged July 26th 1973 at Looe by Terry Pengelly. Recaptured July 25th 1975 at Padstow by Mr E J Watts

No? (green) – tagged south coast of Cornwall. Recaptured 9th August west of Fire Island Inlet, Long Island, USA by Eugene Adkins. (this fish was released again but in removing the tag, the half with the mumber on it was lost)

No 1389 – tagged 16th August 1974 at Looe by Bill Cowan. Recaptured 1st August 1975, 10 miles south of Youghal, Co. Cork, Ireland by Capt. M Vastenhout

No 1361 – tagged at Looe in 1974. Recaptured 4th July 1975 off Montauk Point, Long Island, New York, USA by Morris Rubenfeld

No 44 – tagged 18th July 1973 at Newquay by Bob Perrington. Recaptured 25th August 1975, 8 miles SW of Ile d’yev, France

**Inserted here: materials data**
Compound: CaGe3Ir
Source: Alexandria via LeMat-Bulk
Functional: PBE-GGA
Structure: optimized geometry

Cell: 5.077 5.077 5.077 Å, 90.00 90.00 90.00°
Fractional positions:
Ca (0.000, 0.000, 0.000)
Ge (0.000, 0.000, 0.500)
Ge (0.000, 0.500, 0.000)
Ge (0.500, 0.000, 0.000)
Ir (0.500, 0.500, 0.500)

The space group is Pm-3m (221). The raw total energy comes out at -3.19 eV per atom. As for the energy of formation: 1.752 eV per atom.

* * * * *

# 1
Compound: CuReB3
Source: the Alexandria database
Functional: PBE-GGA
Structure: relaxed

CIF file:
```
data_CuReB3
_chemical_formula_sum 'Cu1 Re1 B3'
_cell_length_a 3.7385
_cell_length_b 3.7385
_cell_length_c 3.7385
_cell_angle_alpha 90.00
_cell_angle_beta 90.00
_cell_angle_gamma 90.00
_space_group_name_H-M_alt 'P m -3 m'
_space_group_IT_number 221
_space_group_name_Hall '-P 4 2 3'
loop_
_atom_site_label
_atom_site_type_symbol
_atom_site_fract_x
_atom_site_fract_y
_atom_site_fract_z
Cu1 Cu 0.0000 0.0000 0.0000
Re1 Re 0.5000 0.5000 0.5000
B1 B 0.0000 0.0000 0.5000
```

As for the density of states at the Fermi level: 1.090 states/eV per atom. The value obtained for the excess energy over the best structure of this formula in the dataset is 0.6181 eV per atom. The energy relative to the elements comes out at 1820 meV/atom. For the volume, the calculation gives 52.25 Å³/cell. The electronic total energy is -5.495 eV per atom.

# 2
Compound: Cu3ReB
Source: the Alexandria database
Functional: PBE-GGA
Structure: relaxed

CIF file:
```
data_Cu3ReB
_chemical_formula_sum 'Cu3 Re1 B1'
_cell_length_a 3.9067
_cell_length_b 3.9067
_cell_length_c 3.9067
_cell_angle_alpha 90.00
_cell_angle_beta 90.00
_cell_angle_gamma 90.00
_space_group_name_H-M_alt 'P m -3 m'
_space_group_IT_number 221
_space_group_name_Hall '-P 4 2 3'
loop_
_atom_site_label
_atom_site_type_symbol
_atom_site_fract_x
_atom_site_fract_y
_atom_site_fract_z
Cu1 Cu 0.0000 0.0000 0.5000
Re1 Re 0.5000 0.5000 0.5000
B1 B 0.0000 0.0000 0.0000
```

As for the density of states at the Fermi level: 0.549 states/eV per atom. The value obtained for the excess energy over the best structure of this formula in the dataset is 0.0000 eV per atom. The energy relative to the elements comes out at 744 meV/atom. For the volume, the calculation gives 59.62 Å³/cell. The electronic total energy is -5.539 eV per atom.

# 3
Compound: Cu3ReB
Source: the Alexandria database
Functional: PBE-GGA
Structure: relaxed

CIF file:
```
data_Cu3ReB
_chemical_formula_sum 'Cu3 Re1 B1'
_cell_length_a 4.6789
_cell_length_b 4.6789
_cell_length_c 4.6789
_cell_angle_alpha 90.00
_cell_angle_beta 90.00
_cell_angle_gamma 90.00
_space_group_name_H-M_alt 'P m -3 m'
_space_group_IT_number 221
_space_group_name_Hall '-P 4 2 3'
loop_
_atom_site_label
_atom_site_type_symbol
_atom_site_fract_x
_atom_site_fract_y
_atom_site_fract_z
Cu1 Cu 0.0000 0.0000 0.5000
Re1 Re 0.0000 0.0000 0.0000
B1 B 0.5000 0.5000 0.5000
```
**End of the materials data**

No 103 – tagged 11th June 1973 at Sagres, Portugal by Mr W Persoon. Recaptured 8th September 1975, 7 miles off Cap-Ferret (Arcachon), France

No 129 – Porbeagle shark tagged June 20th 1973 at Jersey C.I. by John Weedon. Recaptured 24th July 1975, 25 miles SW of Basseret Lightship, west coast of Denmark.


Records Sub Committee – for some time the records activity had been very low indeed and J W Brown, its Chairman happily announced that the Records Committee once again had work to do. The new records are listed below, and Johns view is that they would stand for some considerable time. However, he qualifies this statement by saying that different shark angling methods may be what would topple these. He was referring to the New Zealanders and the Australians who used very fast boats which enabled them to hook and boat very large sharks on very low breaking strain lines. He did feel however that the way sharks were fished for in the UK was far more sporting and therefore represented a greater achievement.

Blue shark (20lbs line class) – 90lbs by Mrs A Connell of Woking in Surrey

Porbeagle shark (50lbs line class) – 228lbs by Mrs D E Parker, Helston in Cornwall

Porbeagle shark (30lbs line class) – 137lbs by Mr J Martin of Lynton in Devon